- - -
Crystalline CeNdAl4 at its relaxed geometry. Source: the Materials Project database, functional PBE.

a b c (Å): 5.635 5.635 5.635
angles (deg): 60.00 60.00 60.00
Sites, in units of the cell vectors:
Al 0.624 0.127 0.624
Al 0.624 0.624 0.127
Al 0.624 0.624 0.624
Al 0.127 0.624 0.624
Nd 0.000 0.000 0.000
Ce 0.250 0.250 0.250

## Properties
Its formation energy is -0.46 eV per atom. As for the total moment: 0.6 μB per formula unit. For the volume, the calculation gives 21.09 A^3/atom.

----------

1.
{
  "formula": "PrEr3",
  "functional": "GGA-PBE",
  "state": "relaxed",
  "de_polymorph_ev_per_atom": 0.007,
  "spacegroup": "Pm-3m (221)",
  "formation_enthalpy_0k_ev_per_atom": 0.03,
  "cell": [[5.0399, 0.0000, 0.0000], [0.0000, 5.0399, 0.0000], [0.0000, 0.0000, 5.0399]],
  "species": ["Pr", "Er", "Er", "Er"],
  "frac_coords": [[0.0000, 0.0000, 0.0000], [0.0000, 0.5000, 0.5000], [0.5000, 0.0000, 0.5000], [0.5000, 0.5000, 0.0000]]
}


2.
{
  "formula": "BaCo2As2",
  "functional": "GGA-PBE",
  "state": "relaxed",
  "spacegroup": "I4/mmm (139)",
  "formation_enthalpy_0k_ev_per_atom": -0.62,
  "cell": [[3.9910, 0.0000, 0.0000], [0.0000, 3.9910, 0.0000], [0.0000, 0.0000, 12.6450]],
  "species": ["Ba", "Ba", "Co", "Co", "Co", "Co", "As", "As", "As", "As"],
  "frac_coords": [[0.0000, 0.0000, 0.0000], [0.5000, 0.5000, 0.5000], [0.0000, 0.5000, 0.2500], [0.0000, 0.5000, 0.7500], [0.5000, 0.0000, 0.2500], [0.5000, 0.0000, 0.7500], [0.0000, 0.0000, 0.3457], [0.0000, 0.0000, 0.6543], [0.5000, 0.5000, 0.1543], [0.5000, 0.5000, 0.8457]]
}


3.
{
  "formula": "RbAuBr3",
  "functional": "GGA-PBE",
  "state": "relaxed",
  "spacegroup": "Pm-3m (221)",
  "m_tot_mub_per_atom": 0.0001,
  "formation_enthalpy_0k_ev_per_atom": -1.14,
  "cell": [[5.4370, 0.0000, 0.0000], [0.0000, 5.4370, 0.0000], [0.0000, 0.0000, 5.4370]],
  "species": ["Rb", "Au", "Br", "Br", "Br"],
  "frac_coords": [[0.0000, 0.0000, 0.0000], [0.5000, 0.5000, 0.5000], [0.0000, 0.5000, 0.5000], [0.5000, 0.0000, 0.5000], [0.5000, 0.5000, 0.0000]]
}


4.
{
  "formula": "TiFe3N",
  "functional": "GGA-PBE",
  "state": "relaxed",
  "spacegroup": "Pm-3m (221)",
  "m_tot_mub_per_atom": 0.3305,
  "formation_enthalpy_0k_ev_per_atom": -0.34,
  "cell": [[3.7380, 0.0000, 0.0000], [0.0000, 3.7380, 0.0000], [0.0000, 0.0000, 3.7380]],
  "species": ["Ti", "Fe", "Fe", "Fe", "N"],
  "frac_coords": [[0.0000, 0.0000, 0.0000], [0.0000, 0.5000, 0.5000], [0.5000, 0.0000, 0.5000], [0.5000, 0.5000, 0.0000], [0.5000, 0.5000, 0.5000]]
}
- - -

The reader should work out how many lines above have the word "Crystalline" in them; a number is enough.

1